-- Contents --
=====
Record 1
The following is a PBE with a Hubbard U calculation of a relaxed K2Mn2S3O12 crystal, from Materials Project.

a = 10.3034 Å, b = 10.3034 Å, c = 10.3034 Å
α = 90.00°, β = 90.00°, γ = 90.00°
With the nearest neighbours (Å) after each atom.
Fractional positions:
K: 0.0521 0.0521 0.0521  6 O 2.88-3.05
K: 0.1852 0.3148 0.6852  9 O 2.93-3.21
K: 0.3148 0.6852 0.1852  9 O 2.93-3.21
K: 0.4479 0.9479 0.5521  6 O 2.88-3.05
K: 0.5521 0.4479 0.9479  6 O 2.88-3.05
K: 0.6852 0.1852 0.3148  9 O 2.93-3.21
K: 0.8148 0.8148 0.8148  9 O 2.93-3.21
K: 0.9479 0.5521 0.4479  6 O 2.88-3.05
Mn: 0.0930 0.9070 0.4070  6 O 2.20
Mn: 0.1668 0.6668 0.8332  6 O 2.18-2.19
Mn: 0.3332 0.3332 0.3332  6 O 2.18-2.19
Mn: 0.4070 0.0930 0.9070  6 O 2.20
Mn: 0.5930 0.5930 0.5930  6 O 2.20
Mn: 0.6668 0.8332 0.1668  6 O 2.18-2.19
Mn: 0.8332 0.1668 0.6668  6 O 2.18-2.19
Mn: 0.9070 0.4070 0.0930  6 O 2.20
S: 0.0156 0.2218 0.3757  4 O 1.49-1.50
S: 0.1243 0.9844 0.7218  4 O 1.49-1.50
S: 0.2218 0.3757 0.0156  4 O 1.49-1.50
S: 0.2782 0.6243 0.5156  4 O 1.49-1.50
S: 0.3757 0.0156 0.2218  4 O 1.49-1.50
S: 0.4844 0.7782 0.8757  4 O 1.49-1.50
S: 0.5156 0.2782 0.6243  4 O 1.49-1.50
S: 0.6243 0.5156 0.2782  4 O 1.49-1.50
S: 0.7218 0.1243 0.9844  4 O 1.49-1.50
S: 0.7782 0.8757 0.4844  4 O 1.49-1.50
S: 0.8757 0.4844 0.7782  4 O 1.49-1.50
S: 0.9844 0.7218 0.1243  4 O 1.49-1.50
O: 0.0059 0.0657 0.7371  1 S 1.49
O: 0.0079 0.0857 0.3258  1 S 1.50
O: 0.0373 0.8115 0.2241  1 S 1.49
O: 0.0657 0.7371 0.0059  1 S 1.49
O: 0.0857 0.3258 0.0079  1 S 1.50
O: 0.0910 0.8483 0.7555  1 S 1.49
O: 0.1517 0.2555 0.4090  1 S 1.49
O: 0.1742 0.9921 0.5857  1 S 1.50
O: 0.1885 0.7241 0.4627  1 S 1.49
O: 0.2241 0.0373 0.8115  1 S 1.49
O: 0.2371 0.4941 0.9343  1 S 1.49
O: 0.2445 0.5910 0.6517  1 S 1.49
O: 0.2555 0.4090 0.1517  1 S 1.49
O: 0.2629 0.5059 0.4343  1 S 1.49
O: 0.2759 0.9627 0.3115  1 S 1.49
O: 0.3115 0.2759 0.9627  1 S 1.49
O: 0.3258 0.0079 0.0857  1 S 1.50
O: 0.3483 0.7445 0.9090  1 S 1.49
O: 0.4090 0.1517 0.2555  1 S 1.49
O: 0.4143 0.6742 0.5079  1 S 1.50
O: 0.4343 0.2629 0.5059  1 S 1.49
O: 0.4627 0.1885 0.7241  1 S 1.49
O: 0.4921 0.9143 0.8258  1 S 1.50
O: 0.4941 0.9343 0.2371  1 S 1.49
O: 0.5059 0.4343 0.2629  1 S 1.49
O: 0.5079 0.4143 0.6742  1 S 1.50
O: 0.5373 0.6885 0.7759  1 S 1.49
O: 0.5657 0.7629 0.9941  1 S 1.49
O: 0.5857 0.1742 0.9921  1 S 1.50
O: 0.5910 0.6517 0.2445  1 S 1.49
O: 0.6517 0.2445 0.5910  1 S 1.49
O: 0.6742 0.5079 0.4143  1 S 1.50
O: 0.6885 0.7759 0.5373  1 S 1.49
O: 0.7241 0.4627 0.1885  1 S 1.49
O: 0.7371 0.0059 0.0657  1 S 1.49
O: 0.7445 0.9090 0.3483  1 S 1.49
O: 0.7555 0.0910 0.8483  1 S 1.49
O: 0.7629 0.9941 0.5657  1 S 1.49
O: 0.7759 0.5373 0.6885  1 S 1.49
O: 0.8115 0.2241 0.0373  1 S 1.49
O: 0.8258 0.4921 0.9143  1 S 1.50
O: 0.8483 0.7555 0.0910  1 S 1.49
O: 0.9090 0.3483 0.7445  1 S 1.49
O: 0.9143 0.8258 0.4921  1 S 1.50
O: 0.9343 0.2371 0.4941  1 S 1.49
O: 0.9627 0.3115 0.2759  1 S 1.49
O: 0.9921 0.5857 0.1742  1 S 1.50
O: 0.9941 0.5657 0.7629  1 S 1.49

Summary:
Total magnetic moment = 0.526 μB/atom
Space-group type = P2_13
V = 273.5 Å³/f.u.
Excess energy over the best structure of this formula in the dataset = 0.0 meV/atom
Final energy = -6.400 eV/atom

Record 2
The following is a PBE with a Hubbard U calculation of a relaxed K2Mn2S3O12 crystal, from Materials Project.

a = 10.2244 Å, b = 10.2361 Å, c = 10.2793 Å
α = 90.00°, β = 90.00°, γ = 90.00°
With the nearest neighbours (Å) after each atom.
Fractional positions:
K: 0.0589 0.0374 0.0571  4 O 2.72-2.92
K: 0.1905 0.3280 0.6870  8 O 2.86-3.07
K: 0.3095 0.6720 0.1870  8 O 2.86-3.07
K: 0.4411 0.9626 0.5571  4 O 2.72-2.92
K: 0.5589 0.4626 0.9429  4 O 2.72-2.92
K: 0.6905 0.1720 0.3130  8 O 2.86-3.07
K: 0.8095 0.8280 0.8130  8 O 2.86-3.07
K: 0.9411 0.5374 0.4429  4 O 2.72-2.92
Mn: 0.0809 0.8915 0.4055  6 O 2.15-2.28
Mn: 0.1626 0.6864 0.8457  6 O 2.17-2.25
Mn: 0.3374 0.3136 0.3457  6 O 2.17-2.25
Mn: 0.4191 0.1085 0.9055  6 O 2.15-2.28
Mn: 0.5809 0.6085 0.5945  6 O 2.15-2.28
=====

-- Activity --
Now duplicate everything above with every line break kept.

-- Outcome --
Record 1
The following is a PBE with a Hubbard U calculation of a relaxed K2Mn2S3O12 crystal, from Materials Project.

a = 10.3034 Å, b = 10.3034 Å, c = 10.3034 Å
α = 90.00°, β = 90.00°, γ = 90.00°
With the nearest neighbours (Å) after each atom.
Fractional positions:
K: 0.0521 0.0521 0.0521  6 O 2.88-3.05
K: 0.1852 0.3148 0.6852  9 O 2.93-3.21
K: 0.3148 0.6852 0.1852  9 O 2.93-3.21
K: 0.4479 0.9479 0.5521  6 O 2.88-3.05
K: 0.5521 0.4479 0.9479  6 O 2.88-3.05
K: 0.6852 0.1852 0.3148  9 O 2.93-3.21
K: 0.8148 0.8148 0.8148  9 O 2.93-3.21
K: 0.9479 0.5521 0.4479  6 O 2.88-3.05
Mn: 0.0930 0.9070 0.4070  6 O 2.20
Mn: 0.1668 0.6668 0.8332  6 O 2.18-2.19
Mn: 0.3332 0.3332 0.3332  6 O 2.18-2.19
Mn: 0.4070 0.0930 0.9070  6 O 2.20
Mn: 0.5930 0.5930 0.5930  6 O 2.20
Mn: 0.6668 0.8332 0.1668  6 O 2.18-2.19
Mn: 0.8332 0.1668 0.6668  6 O 2.18-2.19
Mn: 0.9070 0.4070 0.0930  6 O 2.20
S: 0.0156 0.2218 0.3757  4 O 1.49-1.50
S: 0.1243 0.9844 0.7218  4 O 1.49-1.50
S: 0.2218 0.3757 0.0156  4 O 1.49-1.50
S: 0.2782 0.6243 0.5156  4 O 1.49-1.50
S: 0.3757 0.0156 0.2218  4 O 1.49-1.50
S: 0.4844 0.7782 0.8757  4 O 1.49-1.50
S: 0.5156 0.2782 0.6243  4 O 1.49-1.50
S: 0.6243 0.5156 0.2782  4 O 1.49-1.50
S: 0.7218 0.1243 0.9844  4 O 1.49-1.50
S: 0.7782 0.8757 0.4844  4 O 1.49-1.50
S: 0.8757 0.4844 0.7782  4 O 1.49-1.50
S: 0.9844 0.7218 0.1243  4 O 1.49-1.50
O: 0.0059 0.0657 0.7371  1 S 1.49
O: 0.0079 0.0857 0.3258  1 S 1.50
O: 0.0373 0.8115 0.2241  1 S 1.49
O: 0.0657 0.7371 0.0059  1 S 1.49
O: 0.0857 0.3258 0.0079  1 S 1.50
O: 0.0910 0.8483 0.7555  1 S 1.49
O: 0.1517 0.2555 0.4090  1 S 1.49
O: 0.1742 0.9921 0.5857  1 S 1.50
O: 0.1885 0.7241 0.4627  1 S 1.49
O: 0.2241 0.0373 0.8115  1 S 1.49
O: 0.2371 0.4941 0.9343  1 S 1.49
O: 0.2445 0.5910 0.6517  1 S 1.49
O: 0.2555 0.4090 0.1517  1 S 1.49
O: 0.2629 0.5059 0.4343  1 S 1.49
O: 0.2759 0.9627 0.3115  1 S 1.49
O: 0.3115 0.2759 0.9627  1 S 1.49
O: 0.3258 0.0079 0.0857  1 S 1.50
O: 0.3483 0.7445 0.9090  1 S 1.49
O: 0.4090 0.1517 0.2555  1 S 1.49
O: 0.4143 0.6742 0.5079  1 S 1.50
O: 0.4343 0.2629 0.5059  1 S 1.49
O: 0.4627 0.1885 0.7241  1 S 1.49
O: 0.4921 0.9143 0.8258  1 S 1.50
O: 0.4941 0.9343 0.2371  1 S 1.49
O: 0.5059 0.4343 0.2629  1 S 1.49
O: 0.5079 0.4143 0.6742  1 S 1.50
O: 0.5373 0.6885 0.7759  1 S 1.49
O: 0.5657 0.7629 0.9941  1 S 1.49
O: 0.5857 0.1742 0.9921  1 S 1.50
O: 0.5910 0.6517 0.2445  1 S 1.49
O: 0.6517 0.2445 0.5910  1 S 1.49
O: 0.6742 0.5079 0.4143  1 S 1.50
O: 0.6885 0.7759 0.5373  1 S 1.49
O: 0.7241 0.4627 0.1885  1 S 1.49
O: 0.7371 0.0059 0.0657  1 S 1.49
O: 0.7445 0.9090 0.3483  1 S 1.49
O: 0.7555 0.0910 0.8483  1 S 1.49
O: 0.7629 0.9941 0.5657  1 S 1.49
O: 0.7759 0.5373 0.6885  1 S 1.49
O: 0.8115 0.2241 0.0373  1 S 1.49
O: 0.8258 0.4921 0.9143  1 S 1.50
O: 0.8483 0.7555 0.0910  1 S 1.49
O: 0.9090 0.3483 0.7445  1 S 1.49
O: 0.9143 0.8258 0.4921  1 S 1.50
O: 0.9343 0.2371 0.4941  1 S 1.49
O: 0.9627 0.3115 0.2759  1 S 1.49
O: 0.9921 0.5857 0.1742  1 S 1.50
O: 0.9941 0.5657 0.7629  1 S 1.49

Summary:
Total magnetic moment = 0.526 μB/atom
Space-group type = P2_13
V = 273.5 Å³/f.u.
Excess energy over the best structure of this formula in the dataset = 0.0 meV/atom
Final energy = -6.400 eV/atom

Record 2
The following is a PBE with a Hubbard U calculation of a relaxed K2Mn2S3O12 crystal, from Materials Project.

a = 10.2244 Å, b = 10.2361 Å, c = 10.2793 Å
α = 90.00°, β = 90.00°, γ = 90.00°
With the nearest neighbours (Å) after each atom.
Fractional positions:
K: 0.0589 0.0374 0.0571  4 O 2.72-2.92
K: 0.1905 0.3280 0.6870  8 O 2.86-3.07
K: 0.3095 0.6720 0.1870  8 O 2.86-3.07
K: 0.4411 0.9626 0.5571  4 O 2.72-2.92
K: 0.5589 0.4626 0.9429  4 O 2.72-2.92
K: 0.6905 0.1720 0.3130  8 O 2.86-3.07
K: 0.8095 0.8280 0.8130  8 O 2.86-3.07
K: 0.9411 0.5374 0.4429  4 O 2.72-2.92
Mn: 0.0809 0.8915 0.4055  6 O 2.15-2.28
Mn: 0.1626 0.6864 0.8457  6 O 2.17-2.25
Mn: 0.3374 0.3136 0.3457  6 O 2.17-2.25
Mn: 0.4191 0.1085 0.9055  6 O 2.15-2.28
Mn: 0.5809 0.6085 0.5945  6 O 2.15-2.28